Chapter 2. District of Columbia Home Rule.

Subchapter I. Short Title, Purposes, and Definitions. Back to Top
§ 1-201.01. Short Title.
§ 1-201.02. Purposes.
§ 1-201.03. Definitions.
Subchapter II. Governmental Reorganization. Back to Top
§ 1-202.01. Redevelopment Land Agency.
§ 1-202.02. National Capital Housing Authority.
§ 1-202.03. National Capital Planning Commission and Municipal Planning.[Omitted]
§ 1-202.04. District of Columbia Manpower Administration.
Subchapter III. District Charter Preamble, Legislative Power, and Charter Amending Procedure. Back to Top
§ 1-203.01. District charter preamble.
§ 1-203.02. Legislative power.
§ 1-203.03. Charter amending procedure.
Subchapter IV. The District Charter. Back to Top
Part A. The Council.
Subpart 1. Creation of the Council.
§ 1-204.01. Creation and membership.
§ 1-204.02. Qualifications for holding office.
§ 1-204.03. Compensation.
§ 1-204.04. Powers of the Council.
Subpart 2. Organization and Procedure of the Council.
§ 1-204.11. The Chairman.
§ 1-204.12. Acts, resolutions, and requirements for quorum.
§ 1-204.13. Investigations by the Council.
Part B. The Mayor.
§ 1-204.21. Election, qualifications, vacancy, and compensation.
§ 1-204.22. Powers and duties.
§ 1-204.23. Municipal planning.
Part Bi. Chief Financial Officer.
§ 1-204.24a. In general.
§ 1-204.24b. Appointment of the Chief Financial Officer.
§ 1-204.24c. Removal of the Chief FinanciaL Officer.--
§ 1-204.24d. Duties of the Chief Financial Officer.
[Next to the piece, the page also holds molecular data]
........
Molecular formula: C7H15NO2
Method: DFT, the ωB97M-V functional and the def2-TZVPD basis

XYZ file:
```
25
Properties=species:S:1:pos:R:3:forces:R:3:lowdin_charge:R:1
C 0.1933 -0.7310 -1.2204 1.157 -1.468 0.927 -0.161
C -2.0773 1.1221 -0.7583 0.132 -0.730 -0.930 -0.004
C -0.5790 1.2240 -0.5562 0.491 3.749 1.815 -0.437
N -0.8239 -1.7401 -1.2583 -0.118 -0.340 0.090 -0.013
O 0.1347 2.0262 -1.2078 -1.203 -1.590 0.747 -0.010
H -0.5319 -2.5897 -1.7263 -0.036 0.102 0.157 0.078
H -1.7115 -1.4509 -1.6385 0.102 0.153 -0.108 0.056
H 1.1695 -1.2119 -1.2627 0.018 -0.342 0.238 0.091
H 0.2507 -0.1432 -2.1373 -0.332 0.800 0.467 0.104
H -2.4913 0.1442 -0.5174 0.091 -0.093 0.069 0.072
H -2.3325 1.3850 -1.7871 -0.032 -0.026 0.068 0.092
H -2.5649 1.8238 -0.0770 0.338 0.122 -0.020 0.101
C 2.1657 0.0363 0.6443 0.757 0.278 -0.207 -0.045
C 0.2346 -1.4368 1.4590 0.013 0.026 0.001 -0.063
C 0.6872 -0.2028 0.7301 -0.441 -0.935 -1.734 -0.309
C -0.1490 1.0128 0.9555 -0.289 0.925 -1.680 -0.306
O 0.5196 2.1758 1.3845 -0.001 -0.164 -0.122 -0.024
H 0.8194 2.6073 0.5539 -0.161 -0.205 0.309 0.097
H -1.0182 0.8293 1.5894 0.115 -0.022 0.079 0.150
H 2.7463 -0.8393 0.9448 -0.170 -0.136 -0.322 0.087
H 2.4593 0.3545 -0.3636 -0.025 -0.216 0.058 0.093
H -0.8258 -1.6364 1.2831 0.140 0.018 -0.012 0.076
H 0.8058 -2.3182 1.1589 -0.062 0.052 -0.022 0.086
H 0.3779 -1.2920 2.5373 0.043 0.077 -0.082 0.100
H 2.5412 0.8510 1.2699 -0.528 -0.036 0.213 0.088
```
Forces are in eV/Å.

Results
HOMO level ... -8.515 eV
Gap between HOMO and LUMO ... 9.3 eV
Relative energy (zero: lowest compared OMol25 entry of this formula, charge and spin) ... 385.7 kJ/mol
E_tot ... -480.83856 Eh
M ... 145.2 Da

* * * * *

Record 1
A molecular structure, C25H29Cl3MoN7O5, computed with the ωB97M-V functional and the def2-TZVPD basis.

Calculated values
HOMO-LUMO gap (spin up / spin down) (eV): 7.20 / 7.87
Total charge: +1
HOMO (spin up / spin down) (eV): -9.61 / -10.49
Spin multiplicity: 3
ΔE to the lowest compared entry with this formula, charge and spin (eV): 0.697

Element x y z (Å)
Mo -0.165 -0.005 0.116
O -0.383 -2.887 -2.913
C -0.521 -1.933 -2.175
N 0.047 -1.730 -0.960
C 1.143 -2.614 -0.594
C 2.298 -1.740 -0.187
C 3.611 -2.186 -0.080
C 4.600 -1.289 0.247
C 4.263 0.037 0.481
C 2.941 0.403 0.369
N 1.981 -0.462 0.042
C -1.350 -0.740 -2.563
C -2.103 -0.682 -3.712
C -2.781 0.491 -3.994
C -2.681 1.550 -3.109
C -1.909 1.408 -1.974
N -1.245 0.277 -1.714
H 0.874 -3.278 0.227
H 1.415 -3.227 -1.449
H 3.832 -3.226 -0.291
H 5.635 -1.610 0.303
H 5.009 0.782 0.727
H 2.625 1.426 0.525
H -2.127 -1.553 -4.354
H -3.385 0.580 -4.890
H -3.197 2.484 -3.284
H -1.818 2.198 -1.245
Cl 2.339 6.407 -3.277
C 1.748 5.040 -2.388
C 1.857 3.776 -2.929
C 1.391 2.688 -2.213
Cl 1.529 1.118 -2.944
C 0.803 2.826 -0.943
O 0.347 1.814 -0.218
C 0.704 4.129 -0.450
Cl -0.034 4.370 1.106
C 1.171 5.227 -1.151
H 2.298 3.636 -3.906
H 1.075 6.220 -0.734
N 0.419 0.720 2.337
C 0.879 -0.318 3.276
C 0.244 -0.067 4.655
C 0.455 -1.044 5.809
C 1.875 -1.307 6.292
........
§ 1-204.24e. Functions of Treasurer.
§ 1-204.24f. Definitions.
§ 1-204.25. Authority of Chief Financial Officer over Personnel of Office and Other Financial Personnel.
§ 1-204.26. Procurement authority of the Chief Financial Officer.
Part C. The Judiciary.
§ 1-204.31. Judicial powers.
§ 1-204.32. Removal, suspension, and involuntary retirement.
§ 1-204.33. Nomination and appointment of judges.
§ 1-204.34. District of Columbia Judicial Nomination Commission.
Part C-I. Election of the Attorney General.
§ 1-204.35. Election of the Attorney General.
Part D. District Budget and Financial Management.
Subpart 1. Budget and Financial Management.
§ 1-204.41. Fiscal year.
§ 1-204.42. Submission of annual budget.
§ 1-204.43. Multiyear plan.
§ 1-204.44. Multiyear capital improvements plan.
§ 1-204.45. District of Columbia courts' budget.
§ 1-204.45a. Water and Sewer Authority budget.
§ 1-204.46. Enactment of appropriations by Congress.
§ 1-204.46a. Permitting increase in amount appropriated as local funds during a fiscal year.
§ 1-204.46b. Acceptance of grant amounts not included in annual budget.
§ 1-204.47. Consistency of budget, accounting, and personnel systems.
§ 1-204.48. Financial duties of the Mayor.
**Records of molecules, kept here for reference:**
********
114
Properties=species:S:1:pos:R:3 method="wB97M-V/def2-TZVPD" energy_ev=-119000.897 charge=-1 gap_ev="5.720 / 5.761" largest_force_ev_per_a=0.68 multiplicity=2 s2=0.765 e_homo_ev="-4.3 / -4.6"
Sn 0.872 -0.222 1.189
C -1.451 -5.277 3.281
N -1.425 -4.159 2.359
C -2.665 -3.981 1.635
C -0.407 -3.220 2.391
N 0.036 -2.600 1.334
C -0.410 -3.060 0.027
C 0.625 -2.834 -1.070
N 0.819 -1.470 -1.618
C -0.305 -1.107 -2.497
C -0.507 0.405 -2.751
N -1.476 1.034 -1.880
C -2.557 1.519 -2.370
N -3.367 2.358 -1.645
C -4.809 2.351 -1.813
C -2.896 3.067 -0.468
N -2.963 1.290 -3.702
C -3.280 -0.054 -4.129
C -3.562 2.343 -4.489
C 2.047 -1.551 -2.423
C 2.538 -0.316 -3.181
N 2.864 0.862 -2.409
C 4.079 1.260 -2.309
N 5.222 0.564 -2.695
C 6.399 1.252 -3.178
C 5.433 -0.842 -2.431
N 4.361 2.558 -1.899
C 5.267 2.796 -0.796
C 3.488 3.657 -2.233
N 0.160 -3.092 3.630
C -0.694 -2.758 4.755
C 1.557 -2.775 3.810
H -1.625 -6.199 2.717
H -2.252 -5.179 4.022
H -0.500 -5.363 3.796
H -3.506 -3.974 2.337
H -2.830 -4.796 0.922
H -2.666 -3.036 1.105
H -1.363 -2.606 -0.266
H -0.571 -4.143 0.075
H 0.347 -3.485 -1.919
H 1.578 -3.186 -0.672
H -1.228 -1.508 -2.075
H -0.147 -1.601 -3.471
H -0.787 0.549 -3.801
H 0.454 0.894 -2.566
H -5.112 1.590 -2.528
H -5.176 3.325 -2.153
H -5.283 2.121 -0.856
H -1.897 2.734 -0.214
H -3.538 2.868 0.391
H -2.894 4.147 -0.656
H -2.880 -0.771 -3.416
H -2.846 -0.263 -5.112
H -4.367 -0.205 -4.201
H -3.355 3.306 -4.026
H -4.648 2.227 -4.605
H -3.122 2.341 -5.492
H 1.893 -2.318 -3.206
H 2.831 -1.919 -1.763
H 1.762 -0.026 -3.900
H 3.394 -0.662 -3.772
H 6.162 2.282 -3.428
H 6.763 0.749 -4.080
H 7.215 1.247 -2.444
H 4.640 -1.241 -1.810
H 6.372 -0.984 -1.886
H 5.488 -1.431 -3.354
H 5.811 1.885 -0.553
H 4.712 3.096 0.100
H 5.986 3.585 -1.048
H 2.658 3.290 -2.831
H 4.043 4.409 -2.810
H 3.099 4.146 -1.336
H -1.743 -2.829 4.470
H -0.504 -1.729 5.072
H -0.506 -3.425 5.603
H 1.714 -1.730 4.080
H 2.094 -2.989 2.892
H 1.970 -3.399 4.605
S 5.319 -2.449 4.321
Sb 4.814 -1.906 2.146
S 3.895 -3.699 1.003
S 3.190 -0.056 2.176
O -2.786 0.730 3.945
C -2.387 0.035 3.008
O -1.201 -0.110 2.585
C -3.451 -0.733 2.226
C -3.374 -0.816 0.842
C -4.339 -1.508 0.119
C -5.376 -2.144 0.776
C -5.445 -2.056 2.159
C -4.506 -1.342 2.888
N -6.521 -2.753 2.855
O -7.412 -3.251 2.188
O -6.480 -2.807 4.068
H -2.540 -0.330 0.347
H -4.275 -1.576 -0.958
H -6.122 -2.721 0.248
H -4.598 -1.265 3.962
S 0.984 5.310 -0.108
C 1.003 3.574 -0.285
N 1.363 2.899 0.739
C 1.679 3.737 1.801
C 2.120 3.335 3.062
C 2.390 4.299 4.011
C 2.235 5.659 3.727
C 1.805 6.080 2.484
C 1.532 5.110 1.526
H 0.706 3.144 -1.232
H 2.265 2.282 3.262
H 2.736 4.002 4.993
H 2.458 6.396 4.489
H 1.686 7.133 2.262
********
§ 1-204.49. Accounting supervision and control.
§ 1-204.50. General and special funds.
§ 1-204.50a. Reserve funds.
§ 1-204.50b. Comprehensive Financial Management Policy.
§ 1-204.51. Special rules regarding certain contracts.
§ 1-204.52. Annual budget for the Board of Education.[Repealed]
§ 1-204.53. Reductions in budgets of independent agencies.
Subpart 2. Audits and Accountability Requirements.
§ 1-204.55. District of Columbia Auditor.
§ 1-204.56a. Performance and accountability plan.
§ 1-204.56b. Performance accountability report.
§ 1-204.56c. Financial accountability plan and report.
§ 1-204.56d. Quarterly financial reports.
§ 1-204.56e. Submission of Reports to District of Columbia Financial Responsibility and Assistance Authority.
Part E. Borrowing.
Subpart 1. Borrowing.
§ 1-204.61. Districts' authority to issue and redeem general obligation bonds for capital projects.
§ 1-204.62. Contents of borrowing legislation and elections on issuing general obligation bonds.
§ 1-204.63. General obligation bonds.
§ 1-204.64. Short period of limitation.
§ 1-204.65. Issuance of general obligation bonds.
§ 1-204.66. Public or private sale.
§ 1-204.67. Authority to create security interests in District revenues.
Subpart 2. Short-Term Borrowing.
§ 1-204.71. Borrowing to meet appropriations.
§ 1-204.72. Borrowing in anticipation of revenues.
§ 1-204.73. Notes redeemable prior to maturity.
§ 1-204.74. Sales of notes.
§ 1-204.75. Bond anticipation notes.
Subpart 3. Payment of Bonds and Notes.
§ 1-204.81. Special tax.
§ 1-204.82. Full faith and credit of the District.
§ 1-204.83. Payment of the general obligation bonds and notes.
Subpart 4. Full Faith and Credit of the United States.
§ 1-204.84. Full faith and credit of United States not pledged.
Subpart 5. Tax Exemptions; Legal Investment; Water Pollution; Reservoirs; Metro Contributions; and Revenue Bonds.
§ 1-204.85. Tax exemption.
§ 1-204.86. Legal investment.
§ 1-204.87. Water pollution.
§ 1-204.88. Cost of reservoirs on Potomac River.
§ 1-204.89. District's contributions to the Washington metropolitan area transit authority.
§ 1-204.90. Revenue bonds and other obligations.
Part F. Independent Agencies and Authorities.
§ 1-204.91. Board of Elections amendments.[Omitted]
§ 1-204.92. Zoning Commission amendments.[Omitted]
§ 1-204.93. Public Service Commission.
§ 1-204.94. Armory Board amendments.[Omitted]
§ 1-204.95. Board of Education.[Repealed]
§ 1-204.96. Independent Financial Management, Personnel, and Procurement authority of District of Columbia Water and sewer authority.
Part G. Initiatives, Referendums, and Recalls.
Subpart 1. Initiative and Referendum.
§ 1-204.101. Definitions.
§ 1-204.102. Process.
§ 1-204.103. Submission of measure at election.
§ 1-204.104. Rejection of measure.
§ 1-204.105. Approval of measure.
§ 1-204.106. Short title and summary.
§ 1-204.107. Adoption of acts to carry out subpart.
Subpart 2. Recall of Elected Officials.
§ 1-204.111. "Recall" defined.
§ 1-204.112. Process.
§ 1-204.113. Time limits on initiation of process.
§ 1-204.114. When official removed; filling of vacancies.
§ 1-204.115. Adoption of acts to carry out subpart.
Subchapter V. Federal Payment.[Repealed] Back to Top
§ 1-205.01. Duties of the Mayor, Council, and Federal Office of Management and Budget.[Repealed]
§ 1-205.02. Authorization of Appropriations.[Repealed]
§ 1-205.03. Federal payment formula.[Repealed]
Subchapter VI. Reservation of Congressional Authority. Back to Top
**These quantum chemistry results were left in the text by mistake**
********
[1]
{"formula": "C4H9NO2", "method": "the ωB97M-V functional and the def2-TZVPD basis", "lumo_energy_ev": 0.83, "relative_energy_kcal_mol": 44.03, "symbols": ["C", "C", "N", "C", "H", "H", "H", "H", "H", "H", "H", "O", "C", "O", "H", "H"], "coordinates": [[-0.068, -1.816, 0.153], [0.785, -0.874, 0.660], [0.492, 0.076, 1.604], [1.201, 1.365, 1.578], [-1.070, -1.900, 0.506], [0.330, -2.670, -0.417], [1.875, -0.861, 0.361], [-0.448, 0.136, 1.873], [1.118, 1.838, 2.555], [2.244, 1.168, 1.327], [0.772, 2.032, 0.834], [-1.938, 1.484, -3.153], [-1.732, 0.540, -2.413], [-0.497, 0.089, -2.138], [-2.549, -0.003, -1.886], [-0.515, -0.603, -1.443]]}

---

[2]
********
§ 1-206.01. Retention of constitutional authority.
§ 1-206.02. Limitations on the Council.
§ 1-206.03. Budget process; limitations on borrowing and spending.
§ 1-206.04. Congressional action on certain District matters.
Subchapter VII. Referendum; Succession in Government; Temporary Provisions; Miscellaneous; Amendments to District of Columbia Elections Act; Rules of Construction; and Effective Dates. Back to Top
Part A. Charter Referendum.
§ 1-207.01. Referendum.
§ 1-207.02. Board of Elections Authority.
§ 1-207.03. Referendum ballot and notice of voting.
§ 1-207.04. Acceptance or nonacceptance of Charter.
Part B. Succession in Government.
§ 1-207.11. Abolishment of existing government and transfer of functions.
§ 1-207.12. Certain delegated functions; functions of certain agencies.
§ 1-207.13. Transfer of personnel, property, and funds.
§ 1-207.14. Existing statutes, regulations, and other actions.
§ 1-207.15. Pending actions and proceedings.
§ 1-207.16. Vacancies resulting from abolishment of offices of Commissioner and Assistant to the Commissioner.
§ 1-207.17. Status of the District.
§ 1-207.18. Continuation of District of Columbia court system.
§ 1-207.19. Continuation of the Board of Education.
Part C. Temporary Provisions.
§ 1-207.21. Powers of the President during transitional period.
§ 1-207.22. Reimbursable appropriations for the District.
§ 1-207.23. Interim loan authority.
§ 1-207.24. Political participation in certain elections first held under this chapter.
Part D. Miscellaneous.
§ 1-207.31. Services between United States government and District government.
§ 1-207.32. Personal interest in contracts or transactions.
§ 1-207.33. Compensation from more than one source.
§ 1-207.34. Assistance of the United States Civil Service Commission in development of District merit system.
§ 1-207.35. Revenue Sharing Restrictions Amendment.[Omitted]
§ 1-207.36. Independent audit.
§ 1-207.37. Adjustments.
§ 1-207.38. Advisory neighborhood commissions.
§ 1-207.39. National Capital Service Area.
§ 1-207.40. Emergency control of police.
§ 1-207.41. Holding Office in the District.[Repealed]
§ 1-207.42. Open meetings.
§ 1-207.43. Termination of the District's Authority to Borrow from the Treasury.[Omitted]
Part E. Amendments to the District of Columbia Election Act Amendments.
§ 1-207.51. Amendments.[Omitted]
§ 1-207.52. District Council authority over elections.
Part F. Rules of Construction.
§ 1-207.61. Construction.
§ 1-207.62. Severability.
Part G. Effective Dates.
§ 1-207.71. Effective Dates.